┌──
AcTbAsO6: relaxed, PBE.

Properties
- Raw formation energy: -2.323 eV per atom
- DFT total energy: -7.116 eV per atom
- Calculated volume: 15.322 Å³ per atom

abc: 5.5306 5.5306 5.2058
angles: 90.00 90.00 120.00
Element x y z (fractional)
1 Ac 0.0000 0.0000 0.0000
2 Tb 0.3333 0.6667 0.5000
3 As 0.6667 0.3333 0.5000
4 O 0.3914 0.0544 0.7062
5 O 0.3914 0.3370 0.2938
6 O 0.6630 0.0544 0.2938
7 O 0.6630 0.6086 0.7062
8 O 0.9456 0.3370 0.7062
9 O 0.9456 0.6086 0.2938

AcTiAs2O8: relaxed, PBE.

Properties
- Raw formation energy: -1.919 eV per atom
- DFT total energy: -7.000 eV per atom
- Calculated volume: 13.917 Å³ per atom

abc: 6.0278 6.0278 6.0278
angles: 106.37 106.37 115.87
Element x y z (fractional)
1 Ac 0.0000 0.0000 0.0000
2 Ti 0.2500 0.7500 0.5000
3 As 0.5000 0.5000 0.0000
4 As 0.7500 0.2500 0.5000
5 O 0.3343 0.1284 0.7940
6 O 0.3343 0.5403 0.2060
7 O 0.3930 0.0619 0.3312
8 O 0.4597 0.6657 0.7940
9 O 0.7307 0.0619 0.6688
10 O 0.8716 0.6657 0.2060
11 O 0.9381 0.2693 0.3312
12 O 0.9381 0.6070 0.6688

AcTlAsO3: relaxed, PBE.

Properties
- Raw formation energy: -1.755 eV per atom
- DFT total energy: -6.089 eV per atom
- Calculated volume: 19.193 Å³ per atom

abc: 7.7648 7.7648 7.6757
angles: 99.70 99.70 30.36
Element x y z (fractional)
1 Ac 0.1454 0.1454 0.0490
2 Ac 0.8546 0.8546 0.9510
3 Tl 0.1499 0.1499 0.5812
4 Tl 0.8501 0.8501 0.4188
5 As 0.4898 0.4898 0.7443
6 As 0.5102 0.5102 0.2557
7 O 0.0012 0.0012 0.7922
8 O 0.3122 0.3122 0.1166
9 O 0.3668 0.3668 0.7250
10 O 0.6332 0.6332 0.2750
11 O 0.6878 0.6878 0.8834
12 O 0.9988 0.9988 0.2078

Ac3Tl3AsO8: relaxed, PBE.

Properties
- Raw formation energy: -1.874 eV per atom
- DFT total energy: -6.123 eV per atom
- Calculated volume: 20.718 Å³ per atom

abc: 7.8237 7.8237 7.8237
angles: 56.44 56.44 56.44
Element x y z (fractional)
1 Ac 0.0000 0.5000 0.5000
2 Ac 0.5000 0.0000 0.5000
3 Ac 0.5000 0.5000 0.0000
4 Tl 0.0000 0.0000 0.5000
5 Tl 0.0000 0.5000 0.0000
6 Tl 0.5000 0.0000 0.0000
7 As 0.0000 0.0000 0.0000
8 O 0.1913 0.1913 0.7799
9 O 0.1913 0.7799 0.1913
10 O 0.2201 0.8087 0.8087
11 O 0.2716 0.2716 0.2716
12 O 0.7284 0.7284 0.7284
13 O 0.7799 0.1913 0.1913
14 O 0.8087 0.2201 0.8087
15 O 0.8087 0.8087 0.2201

Ac3TlAs4O12: relaxed, PBE.

Properties
- Raw formation energy: -1.690 eV per atom
- DFT total energy: -6.329 eV per atom
- Calculated volume: 21.200 Å³ per atom

abc: 7.7499 7.7499 7.7499
angles: 102.85 102.85 102.85
Element x y z (fractional)
1 Ac 0.0000 0.5587 0.4413
2 Ac 0.4413 0.0000 0.5587
3 Ac 0.5587 0.4413 0.0000
4 Tl 0.0000 0.0000 0.0000
5 As 0.0653 0.5000 0.9347
6 As 0.5000 0.5000 0.5000
7 As 0.5000 0.9347 0.0653
8 As 0.9347 0.0653 0.5000
9 O 0.0149 0.2366 0.3918
10 O 0.0805 0.9195 0.5000
11 O 0.2365 0.3918 0.0149
12 O 0.3384 0.6616 0.5000
13 O 0.3918 0.0149 0.2365
14 O 0.5000 0.0805 0.9195
15 O 0.5000 0.3384 0.6616
16 O 0.6082 0.7635 0.9851
17 O 0.6616 0.5000 0.3384
18 O 0.7635 0.9851 0.6082
19 O 0.9195 0.5000 0.0805
20 O 0.9851 0.6082 0.7635

Ac2TlAsO8: relaxed, PBE.

Properties
- Raw formation energy: -1.524 eV per atom
- DFT total energy: -6.099 eV per atom
- Calculated volume: 16.394 Å³ per atom

abc: 5.2953 5.2953 8.1012
angles: 90.00 90.00 120.00
Element x y z (fractional)
1 Ac 0.3333 0.6667 0.3301
2 Ac 0.6667 0.3333 0.6699
3 Tl 0.0000 0.0000 0.0000
4 As 0.0000 0.0000 0.5000
5 O 0.1617 0.3233 0.6346
6 O 0.1617 0.8383 0.6346
7 O 0.3233 0.1617 0.3654
8 O 0.3333 0.6667 0.0206
9 O 0.6667 0.3333 0.9794
10 O 0.6767 0.8383 0.6346
11 O 0.8383 0.1617 0.3654
12 O 0.8383 0.6767 0.3654

Ac3Tl4AsO8: relaxed, PBE.

Properties
- Raw formation energy: -1.758 eV per atom
- DFT total energy: -5.890 eV per atom
- Calculated volume: 19.785 Å³ per atom

abc: 7.8112 7.8112 7.8112
angles: 57.36 57.36 57.36
Element x y z (fractional)
1 Ac 0.0000 0.5000 0.5000
2 Ac 0.5000 0.0000 0.5000
3 Ac 0.5000 0.5000 0.0000
4 Tl 0.0000 0.0000 0.5000
5 Tl 0.0000 0.5000 0.0000
6 Tl 0.5000 0.0000 0.0000
7 Tl 0.5000 0.5000 0.5000
8 As 0.0000 0.0000 0.0000
9 O 0.2118 0.2118 0.7545
└──

Retype everything earlier on exactly.

AcTbAsO6: relaxed, PBE.

Properties
- Raw formation energy: -2.323 eV per atom
- DFT total energy: -7.116 eV per atom
- Calculated volume: 15.322 Å³ per atom

abc: 5.5306 5.5306 5.2058
angles: 90.00 90.00 120.00
Element x y z (fractional)
1 Ac 0.0000 0.0000 0.0000
2 Tb 0.3333 0.6667 0.5000
3 As 0.6667 0.3333 0.5000
4 O 0.3914 0.0544 0.7062
5 O 0.3914 0.3370 0.2938
6 O 0.6630 0.0544 0.2938
7 O 0.6630 0.6086 0.7062
8 O 0.9456 0.3370 0.7062
9 O 0.9456 0.6086 0.2938

AcTiAs2O8: relaxed, PBE.

Properties
- Raw formation energy: -1.919 eV per atom
- DFT total energy: -7.000 eV per atom
- Calculated volume: 13.917 Å³ per atom

abc: 6.0278 6.0278 6.0278
angles: 106.37 106.37 115.87
Element x y z (fractional)
1 Ac 0.0000 0.0000 0.0000
2 Ti 0.2500 0.7500 0.5000
3 As 0.5000 0.5000 0.0000
4 As 0.7500 0.2500 0.5000
5 O 0.3343 0.1284 0.7940
6 O 0.3343 0.5403 0.2060
7 O 0.3930 0.0619 0.3312
8 O 0.4597 0.6657 0.7940
9 O 0.7307 0.0619 0.6688
10 O 0.8716 0.6657 0.2060
11 O 0.9381 0.2693 0.3312
12 O 0.9381 0.6070 0.6688

AcTlAsO3: relaxed, PBE.

Properties
- Raw formation energy: -1.755 eV per atom
- DFT total energy: -6.089 eV per atom
- Calculated volume: 19.193 Å³ per atom

abc: 7.7648 7.7648 7.6757
angles: 99.70 99.70 30.36
Element x y z (fractional)
1 Ac 0.1454 0.1454 0.0490
2 Ac 0.8546 0.8546 0.9510
3 Tl 0.1499 0.1499 0.5812
4 Tl 0.8501 0.8501 0.4188
5 As 0.4898 0.4898 0.7443
6 As 0.5102 0.5102 0.2557
7 O 0.0012 0.0012 0.7922
8 O 0.3122 0.3122 0.1166
9 O 0.3668 0.3668 0.7250
10 O 0.6332 0.6332 0.2750
11 O 0.6878 0.6878 0.8834
12 O 0.9988 0.9988 0.2078

Ac3Tl3AsO8: relaxed, PBE.

Properties
- Raw formation energy: -1.874 eV per atom
- DFT total energy: -6.123 eV per atom
- Calculated volume: 20.718 Å³ per atom

abc: 7.8237 7.8237 7.8237
angles: 56.44 56.44 56.44
Element x y z (fractional)
1 Ac 0.0000 0.5000 0.5000
2 Ac 0.5000 0.0000 0.5000
3 Ac 0.5000 0.5000 0.0000
4 Tl 0.0000 0.0000 0.5000
5 Tl 0.0000 0.5000 0.0000
6 Tl 0.5000 0.0000 0.0000
7 As 0.0000 0.0000 0.0000
8 O 0.1913 0.1913 0.7799
9 O 0.1913 0.7799 0.1913
10 O 0.2201 0.8087 0.8087
11 O 0.2716 0.2716 0.2716
12 O 0.7284 0.7284 0.7284
13 O 0.7799 0.1913 0.1913
14 O 0.8087 0.2201 0.8087
15 O 0.8087 0.8087 0.2201

Ac3TlAs4O12: relaxed, PBE.

Properties
- Raw formation energy: -1.690 eV per atom
- DFT total energy: -6.329 eV per atom
- Calculated volume: 21.200 Å³ per atom

abc: 7.7499 7.7499 7.7499
angles: 102.85 102.85 102.85
Element x y z (fractional)
1 Ac 0.0000 0.5587 0.4413
2 Ac 0.4413 0.0000 0.5587
3 Ac 0.5587 0.4413 0.0000
4 Tl 0.0000 0.0000 0.0000
5 As 0.0653 0.5000 0.9347
6 As 0.5000 0.5000 0.5000
7 As 0.5000 0.9347 0.0653
8 As 0.9347 0.0653 0.5000
9 O 0.0149 0.2366 0.3918
10 O 0.0805 0.9195 0.5000
11 O 0.2365 0.3918 0.0149
12 O 0.3384 0.6616 0.5000
13 O 0.3918 0.0149 0.2365
14 O 0.5000 0.0805 0.9195
15 O 0.5000 0.3384 0.6616
16 O 0.6082 0.7635 0.9851
17 O 0.6616 0.5000 0.3384
18 O 0.7635 0.9851 0.6082
19 O 0.9195 0.5000 0.0805
20 O 0.9851 0.6082 0.7635

Ac2TlAsO8: relaxed, PBE.

Properties
- Raw formation energy: -1.524 eV per atom
- DFT total energy: -6.099 eV per atom
- Calculated volume: 16.394 Å³ per atom

abc: 5.2953 5.2953 8.1012
angles: 90.00 90.00 120.00
Element x y z (fractional)
1 Ac 0.3333 0.6667 0.3301
2 Ac 0.6667 0.3333 0.6699
3 Tl 0.0000 0.0000 0.0000
4 As 0.0000 0.0000 0.5000
5 O 0.1617 0.3233 0.6346
6 O 0.1617 0.8383 0.6346
7 O 0.3233 0.1617 0.3654
8 O 0.3333 0.6667 0.0206
9 O 0.6667 0.3333 0.9794
10 O 0.6767 0.8383 0.6346
11 O 0.8383 0.1617 0.3654
12 O 0.8383 0.6767 0.3654

Ac3Tl4AsO8: relaxed, PBE.

Properties
- Raw formation energy: -1.758 eV per atom
- DFT total energy: -5.890 eV per atom
- Calculated volume: 19.785 Å³ per atom

abc: 7.8112 7.8112 7.8112
angles: 57.36 57.36 57.36
Element x y z (fractional)
1 Ac 0.0000 0.5000 0.5000
2 Ac 0.5000 0.0000 0.5000
3 Ac 0.5000 0.5000 0.0000
4 Tl 0.0000 0.0000 0.5000
5 Tl 0.0000 0.5000 0.0000
6 Tl 0.5000 0.0000 0.0000
7 Tl 0.5000 0.5000 0.5000
8 As 0.0000 0.0000 0.0000
9 O 0.2118 0.2118 0.7545